Please Join us each Sunday at 10:30 for Worship
9:30 for Sunday School
Adult Sunday School Class is studying the book of Esther
February 9, 2025
Sermon: You Are Now Free to Dance
Scripture: Revelations 19:5-8;
II Corinthians 10:3-5 Join us live on Facebook Facebook.com/PegramUnitedMethodistChurch
Reverend Denise Settle

If this is something that you need...
we have an elevator as well as large print bulletins and
hearing assistance devices!
Come Join Us for Sunday School at 9:30 a.m.
Adult and Children's Classes.
of the Lord
The Belt of


Special Church Activities
Easter Egg Hunt

Church Clean Up Day

Shrove (Fat Tuesday)
Pancake Supper
Special Events
to come

Crystal structures from another source follow.
____________
[1]
Computed, not measured: an optimized crystal structure of Ta2FeW at the PBE-GGA level of DFT.

abc: 3.212 4.379 4.532
angles: 90.00 90.00 90.00
Space group Pmmm (No. 47)
Symmetry-distinct sites (fractional):
Ta (0.000, 0.000, 0.000) x1
Ta (0.500, 0.000, 0.500) x1
Fe (0.000, 0.500, 0.500) x1
W (0.500, 0.500, 0.000) x1

Summary:
For the raw total energy, the calculation gives -11.22 eV per atom. As for the spin magnetization: 1.16 μB/cell.


[2]
Computed, not measured: an optimized crystal structure of CaLaCeDy at the PBE-GGA level of DFT.

abc: 8.276 8.276 8.276
angles: 90.00 90.00 90.00
Space group F-43m (No. 216)
Symmetry-distinct sites (fractional):
Ca (0.000, 0.000, 0.000) x4
La (0.250, 0.250, 0.750) x4
Ce (0.000, 0.000, 0.500) x4
Dy (0.250, 0.250, 0.250) x4

Summary:
For the raw total energy, the calculation gives -4.12 eV per atom. As for the spin magnetization: 8.68 μB/cell.


[3]
Computed, not measured: an optimized crystal structure of Zr3Ir5 at the PBE-GGA level of DFT.

abc: 5.317 12.885 16.506
angles: 90.00 90.00 90.00
Space group Fmm2 (No. 42)
Symmetry-distinct sites (fractional):
Zr (0.000, 0.000, 0.000) x4
Zr (0.000, 0.000, 0.388) x4
Zr (0.000, 0.178, 0.697) x8
Zr (0.250, 0.250, 0.426) x8
Ir (0.000, 0.099, 0.844) x8
Ir (0.000, 0.107, 0.534) x8
Ir (0.000, 0.129, 0.261) x8
Ir (0.000, 0.185, 0.079) x8
Ir (0.240, 0.000, 0.156) x8

Summary:
For the raw total energy, the calculation gives -9.20 eV per atom. As for the spin magnetization: 0.00 μB/cell.


[4]
Computed, not measured: an optimized crystal structure of Al2NiSe at the PBE-GGA level of DFT.

abc: 3.547 4.026 4.440
angles: 90.00 90.00 90.00
Space group Pmmm (No. 47)
Symmetry-distinct sites (fractional):
Al (0.000, 0.000, 0.000) x1
Al (0.500, 0.000, 0.500) x1
Ni (0.000, 0.500, 0.500) x1
Se (0.500, 0.500, 0.000) x1

Summary:
For the uncorrected formation energy, the calculation gives 106 meV per atom. For the raw total energy, the calculation gives -4.08 eV per atom. As for the spin magnetization: 0.00 μB/cell.


[5]
Computed, not measured: an optimized crystal structure of CeNp2C at the PBE-GGA level of DFT.

abc: 3.7358 3.7358 16.9084
angles: 90.00 90.00 120.00
Space group R-3m (No. 166, hexagonal axes)
Symmetry-distinct sites (fractional):
Ce (0.0000, 0.0000, 0.0000) x3
Np (0.0000, 0.0000, 0.2390) x6
C (0.0000, 0.0000, 0.5000) x3

Summary:
The energy relative to the lowest polymorph listed for this composition comes out at 0 meV/atom. For the raw total energy, the calculation gives -9.91 eV per atom. As for the spin magnetization: 14.67 μB/cell.


[6]
Computed, not measured: an optimized crystal structure of AuBr2O at the PBE-GGA level of DFT.

abc: 5.336 5.336 13.255
angles: 90.00 90.00 90.00
Space group I-42d (No. 122)
Symmetry-distinct sites (fractional):
Au (0.000, 0.000, 0.000) x4
Br (0.179, 0.250, 0.625) x8
O (0.000, 0.000, 0.500) x4

Summary:
____________
So much for the crystal structures.

Easter Flowering of the Cross

Weekly Happenings at Pegram UMC:
Monday's 5:30 p.m. AA Meeting
Wednesday's 11:00 a.m. Community Senior Lunch & Bingo
(no lunch/bingo December 20th, 27th and January 3)
Please call Melanie Smiley to reserve a first time spot - 615-879-4364
2nd Wednesday 6:00 p.m. UMW Meeting
Friday's 11:30 a.m. AA Meeting
May we be of help to you?
Contact Us
pegramumc@gmail.com 615-646-6033
More Fun Times!!!!

Annual Fish Fry

• Here the piece breaks off for crystal structures:
+++
Entry 1:
The following is a meta-GGA SCAN calculation of a crystal of ReSbAs2 relaxed with PBEsol, from Alexandria via LeMat-Bulk.

Structure (CIF):
```
data_ReSbAs2
_cell_length_a 3.038
_cell_length_b 3.038
_cell_length_c 8.356
_cell_angle_alpha 90.00
_cell_angle_beta 90.00
_cell_angle_gamma 90.00
_symmetry_space_group_name_H-M 'P 4/m m m'
_symmetry_Int_Tables_number 123
_symmetry_space_group_name_Hall '-P 4 2'
loop_
_atom_site_label
_atom_site_fract_x
_atom_site_fract_y
_atom_site_fract_z
Re1 0.000 0.000 0.000
Sb1 0.000 0.000 0.500
As1 0.500 0.500 0.180
```

## Properties
Uncorrected formation energy (meV/atom): 178
Total energy (eV per cell): -148.03



Entry 2:
The following is a meta-GGA SCAN calculation of a crystal of Ca12Al14O33 relaxed with PBEsol, from Alexandria via LeMat-Bulk.

Structure (CIF):
```
data_Ca12Al14O33
_cell_length_a 12.004
_cell_length_b 12.004
_cell_length_c 11.906
_cell_angle_alpha 90.00
_cell_angle_beta 90.00
_cell_angle_gamma 90.00
_symmetry_space_group_name_H-M 'I -4'
_symmetry_Int_Tables_number 82
loop_
_symmetry_equiv_pos_as_xyz
'x,y,z'
'y,-x,-z'
'-x,-y,z'
'-y,x,-z'
'x+1/2,y+1/2,z+1/2'
'y+1/2,-x+1/2,-z+1/2'
'-x+1/2,-y+1/2,z+1/2'
'-y+1/2,x+1/2,-z+1/2'
loop_
_atom_site_label
_atom_site_fract_x
_atom_site_fract_y
_atom_site_fract_z
Ca1 0.000 0.000 0.178
Ca2 0.000 0.500 0.014
Ca3 0.112 0.247 0.623
Ca4 0.135 0.754 0.123
Al1 0.000 0.000 0.500
Al2 0.000 0.500 0.750
Al3 0.017 0.769 0.357
Al4 0.018 0.731 0.893
Al5 0.126 0.250 0.126
O1 0.000 0.000 0.000
O2 0.035 0.191 0.223
O3 0.037 0.309 0.026
O4 0.059 0.597 0.842
O5 0.061 0.893 0.421
O6 0.068 0.319 0.437
O7 0.070 0.193 0.807
O8 0.148 0.712 0.315
O9 0.154 0.779 0.928
```

## Properties
Uncorrected formation energy (meV/atom): -3336
Total energy (eV per cell): -1253.90



Entry 3:
The following is a meta-GGA SCAN calculation of a crystal of Rb2NiIr relaxed with PBEsol, from Alexandria via LeMat-Bulk.

Structure (CIF):
```
data_Rb2NiIr
_cell_length_a 7.477
_cell_length_b 7.477
_cell_length_c 7.477
_cell_angle_alpha 90.00
_cell_angle_beta 90.00
_cell_angle_gamma 90.00
_symmetry_space_group_name_H-M 'F m -3 m'
_symmetry_Int_Tables_number 225
_symmetry_space_group_name_Hall '-F 4 2 3'
loop_
_atom_site_label
_atom_site_fract_x
_atom_site_fract_y
_atom_site_fract_z
Rb1 0.250 0.250 0.250
Ni1 0.000 0.000 0.000
Ir1 0.000 0.000 0.500
```

## Properties
Total energy (eV per cell): -490.28



Entry 4:
The following is a meta-GGA SCAN calculation of a crystal of Ir2RhSe relaxed with PBEsol, from Alexandria via LeMat-Bulk.

Structure (CIF):
```
data_Ir2RhSe
_cell_length_a 6.178
_cell_length_b 6.178
_cell_length_c 6.178
_cell_angle_alpha 90.00
_cell_angle_beta 90.00
_cell_angle_gamma 90.00
_symmetry_space_group_name_H-M 'F -4 3 m'
_symmetry_Int_Tables_number 216
_symmetry_space_group_name_Hall 'F -4 2 3'
loop_
_atom_site_label
_atom_site_fract_x
_atom_site_fract_y
_atom_site_fract_z
Ir1 0.000 0.000 0.000
Ir2 0.250 0.250 0.250
Rh1 0.250 0.250 0.750
Se1 0.000 0.000 0.500
```

## Properties
+++

Cookout and Youth Lock In
Trunk or Treat

Meet the Pastor
Pastor Denise comes to Pegram United Methodist Church after serving a part time appointment for 17 1/2 years with the Tennessee Ridge Charge in Houston County. She retired at the end of the 2022 school year after working for the Stewart County Public School System since 1991. Born and raised in Johnson City, Tennessee, Denise has two daughters and two grandsons. She has been a Girl Scout Leader, a youth group leader and served in numerous community organizations such as Friends of the Public Library, Celebrate Recovery, Kairos Prison Ministry, Emmaus and 11 years as coordinator of the Stewart County Schools Weekend Backpack Program.
"I am so very excited to be in Pegram and to be a part of this lovely community. I look forward to getting to know people and being involved in community activities. We are called to serve our fellow man and to make disciples. Together, we can make a difference for the kingdom of God. "

Church History
The ministry currently known as Pegram United Methodist Church, has roots that go back more than 200 years. It began when the Pegram family moved to the area and established the Ebenezer Meeting House. The first Ebenezer Meeting House was built around 1808 on a hill above Cave Springs. Records indicate the church was a member of the Western Conference, and the first minister on record was Willim Crutchfield in 1810. In 1812 the Tennessee Conference began the first quarterly Conference known as the Lebanon Circuit, and the Ebenezer Church was one of its 23 members.
The first church building was destroyed during the Civil War, and the second building was constructed on the original site in 1871. The congregation relocated to its third building on Hannah Ford Road in 1894; it became known as the Ebenezer Methodist Church. The church moved again in 1935 to Thompson Road, near its present location. It was then that the church changed its name to Pegram Methodist Church in honor of the Pegram Family who had donated the lots in 1894 and 1935 -- the same family whose ancestors established the first Ebenezer Meeting House. In 1968, when the Methodist and the Evangelical United Brethren Churches merged, this church became the Pegram United Methodist Church.
Construction on the current sanctuary, the fifth building, began in 1967 and the first service was held approximately one year later. In 1989, goundbreaking took place for a new wing containing a larger fellowship hall and additional classroom space for the growing congregation. A new industrial kitchen and elevator were added in 2006 which allowed us to host the Meals on Wheels program for the Pegram and Kingston Springs area, as well as facilitate easier access to the classroom and Sanctuary located on the upper level. At the time of construction ours was the second elevator in Cheatham County.
Pegram United Methodist Church became a "station" church in the Tennessee Conference in 1961, and continues to faithfully serve God and bring the hope of Christ to our community. Since the earliest gatherings, more than 130 pastors have served this congregation and graced our pulpit.
Photo by Rai Lynne Neely
The people of Pegram UMC are involved in many ministries in and around our community. Below are just a few examples. There is always a place for you to be in ministry too.

Noah's Closet